Ward papastew Election 2021 Meet the Candidates: Haruun Ali
As a university student, Ali said he has a "special connection" to Ward papastew.

Ward papastew Election 2021 Meet Candidates is The Gateway’s series of interviews with candidates running in Ward papastew’s council race. This is the sixth of seven articles.
With the October 18 municipal election just around the corner, The Gateway sat down and interviewed candidates running in Ward papastew’s council race. Haruun Ali was interviewed for the sixth instalment of this series.
Ali has lived in the south side of Edmonton for the past 15 years. He has been a Youth At Large Member of the City of Edmonton Youth Council since 2019. Ali has previously volunteered with Alberta Young Liberals group, and campaigned for Thomas Dang in 2019.
The Gateway spoke with Ali to find out more on how, if elected, he plans to represent the residents and students of papastew as the ward’s new councillor.
Responses have been edited for clarity and length.
The Gateway: Why did you decide to run in this election?
Ali: I think this election crucial as we come out of COVID-19, as Edmontonians deserve to have a leader that understands the need to action on climate change. Someone who understand that we need more supportive housing, and need more housing options as well. Someone who understands that we can actually properly fight the opioid crisis by giving Edmontonians supports that they need. I also think we need someone who will get us better transportation networks, and ultimately build the city for the future. Those are all reasons why I decided to run.
Next to the entry, the page also holds crystal structures =
1.
Na2HgPdF6: calculated powder XRD pattern (Cu Kα (weighted mean of Kα1 and Kα2)), based on a cell relaxed with GGA-PBE.
Lines closer than 0.1° are merged.

Structure:
a b c (Å): 6.2794 6.2794 6.2794
angles (deg): 60.00 60.00 60.00
Sites, in units of the cell vectors:
Na: 0.2500 0.2500 0.2500
Na: 0.7500 0.7500 0.7500
Hg: 0.0000 0.0000 0.0000
Pd: 0.5000 0.5000 0.5000
F: 0.2575 0.2575 0.7425
F: 0.2575 0.7425 0.2575
F: 0.2575 0.7425 0.7425
F: 0.7425 0.2575 0.2575
F: 0.7425 0.2575 0.7425
F: 0.7425 0.7425 0.2575

The 10 most intense peaks (2θ from 10° to 80°), low angle first:
2θ (°)  I/Imax
17.3  13
20.0  100
28.4  95
33.5  11
40.6  40
45.7  46
50.3  40
58.8  25
62.8  22
66.6  18

=====

2.
Na2HgRhF6: calculated powder XRD pattern (Cu Kα (weighted mean of Kα1 and Kα2)), based on a cell relaxed with GGA-PBE.
Lines closer than 0.1° are merged.

Structure:
a b c (Å): 6.2582 6.2582 6.2582
angles (deg): 60.00 60.00 60.00
Sites, in units of the cell vectors:
Na: 0.2500 0.2500 0.2500
Na: 0.7500 0.7500 0.7500
Hg: 0.0000 0.0000 0.0000
Rh: 0.5000 0.5000 0.5000
F: 0.2697 0.2697 0.7303
F: 0.2697 0.7303 0.2697
F: 0.2697 0.7303 0.7303
F: 0.7303 0.2697 0.2697
F: 0.7303 0.2697 0.7303
F: 0.7303 0.7303 0.2697

The 10 most intense peaks (2θ from 10° to 80°), low angle first:
2θ (°)  I/Imax
17.4  11
20.1  100
28.5  95
33.6  12
40.8  39
45.9  45
50.5  39
59.0  24
63.0  21
66.9  18

=====

3.
Na2HgSbF6: calculated powder XRD pattern (Cu Kα (weighted mean of Kα1 and Kα2)), based on a cell relaxed with GGA-PBE.
Lines closer than 0.1° are merged.

Structure:
a b c (Å): 6.6975 6.6975 6.6975
angles (deg): 60.00 60.00 60.00
Sites, in units of the cell vectors:
Na: 0.2500 0.2500 0.2500
Na: 0.7500 0.7500 0.7500
Hg: 0.0000 0.0000 0.0000
Sb: 0.5000 0.5000 0.5000
F: 0.2768 0.2768 0.7232
F: 0.2768 0.7232 0.2768
F: 0.2768 0.7232 0.7232
F: 0.7232 0.2768 0.2768
F: 0.7232 0.2768 0.7232
F: 0.7232 0.7232 0.2768

The 10 most intense peaks (2θ from 10° to 80°), low angle first:
2θ (°)  I/Imax
18.7  100
26.6  97
38.0  39
42.7  46
47.0  41
54.8  25
58.5  22
62.0  20
71.9  11
75.0  23

=====

4.
Na2ScHgF6: calculated powder XRD pattern (Cu Kα (weighted mean of Kα1 and Kα2)), based on a cell relaxed with GGA-PBE.
Lines closer than 0.1° are merged.

Structure:
a b c (Å): 6.3926 6.3926 6.3926
angles (deg): 60.00 60.00 60.00
Sites, in units of the cell vectors:
Na: 0.2500 0.2500 0.2500
Na: 0.7500 0.7500 0.7500
Sc: 0.0000 0.0000 0.0000
Hg: 0.5000 0.5000 0.5000
F: 0.2236 0.2236 0.7764
F: 0.2236 0.7764 0.2236
F: 0.2236 0.7764 0.7764
F: 0.7764 0.2236 0.2236
F: 0.7764 0.2236 0.7764
F: 0.7764 0.7764 0.2236

The 10 most intense peaks (2θ from 10° to 80°), low angle first:
2θ (°)  I/Imax
17.0  53
19.6  100
27.9  99
32.9  51
39.9  46
43.6  32
44.8  43
49.4  40
57.7  28
79.3  22

=====

5.
Na2TiHgF6: calculated powder XRD pattern (Cu Kα (weighted mean of Kα1 and Kα2)), based on a cell relaxed with GGA-PBE.
Lines closer than 0.1° are merged.

Structure:
a b c (Å): 6.6866 6.6866 6.6866
What do you believe is the biggest issue you see facing the city and how would you address it?
Housing. It is largest thing we actually can deal with. We need to make sure that we are building a better city for all of us. The way we can get that done is by ensuring that cities are building more public housing. If you want to lower crime it isn’t going to get done by overpolicing. It will get done by getting people the help that they need. This can mean giving [people] housing, giving them stuff that can alleviate poverty, and actually building a better Edmonton for all of us. Also, it is so crucial we are fighting the opioid crisis and not criminalizing addiction.
Why did you decide to run in ward papastew?
I have a special connection to Ward papastew. As a university student, I think the ward has a lot to offer for our communities. Ward papastew is a prime example of a ward that has a diverse mix of people, opinions, ideas — and I love that. I’m also very fond of our bike lanes, I’m very fond of just how our community works. I feel like [Ward papastew is] a model for other neighbourhoods around the city.
What do you believe is the biggest challenge facing ward papastew specifically, and how do you plan to address this on city council?
Housing. It’s a big area that Ward papastew is having problems with right now.
What previous experiences do you have that make you a good candidate for city council?
I think there are a lot of good things I have to offer to the table. I’ve been involved in multiple different sectors and volunteer areas. I’ve been involved in a couple of campaigns as well. I have mastered the art of negotiating. I think it is incredibly important for our communities — to have a councillor that is actively negotiating with other councillors and actively negotiating with the mayor. We have a large, very ambitious plan. It’s something I want to execute to perfection. I want to make sure we are talking and having conversations. I have also been involved in Edmonton’s Youth Council as well.
If elected, how do you plan to support the large number of students living in papastew?
I think we need to build the city for all of us, which includes students. Something we need to recognize as a council is we’re not building a city today, we are building a city for tomorrow. How do we want to build that city? I think we should build that city by actually having support there. By actually giving people the money that they need to live. By actually ensuring that [students are] actually getting supports that ensure that we are building a better Edmonton. We can reform infrastructure spending. We have seen what has happened — the dire consequences of cutting infrastructure spending. We also need to make sure we are investing more money back into the U of A area to make sure we are creating a prosperous university district for everyone.
If elected, how will you work to address climate change in the City of Edmonton?
Climate change — we need to take action on it. In my campaign, I am looking to prioritize climate. We need to act now to ensure that the City of Edmonton remains environmentally friendly city. I will work to lower our emissions, and build an Edmonton for all of us.
If elected, how will you concretely work to support Indigenous residents and students in papastew?
I want to look at how we can actually implement the Truth and Reconciliation Commission recommendations. There are about seven of them for municipalities, I think we should execute all of them. I want to make sure we are taking steps towards reconciliation — [steps] that build a better Edmonton for all of us.
How do you believe you stand out from other city council candidates?
We are the only campaign with a policing plan. Our campaign is the only one out of all campaigns that mentions divesting from policing. We are the only campaign in papastew that has a plan to make transit free. Everyone in the city can use [transit] as something that is reliable, is accessible, and is an affordable option. We are the only campaign in papastew with a plan to essentially double the stock of public housing, to make sure we are building more public housing.
Fun Question: What is your favourite restaurant to visit in Edmonton?
Malt & Mortar.